-- Assignment --
Your job: write out the whole of the lines further below word for word.

-- Excerpt --
┌──
(1)
# ScCdB (GGA-PBE, relaxed)
# **Crystal system**: triclinic
# **Formation energy**: -0.0567 eV per atom
# **VASP energy**: -4.70 eV per atom
# **Volume**: 104.3 Å³ per cell
# **Density of states at the Fermi level**: 4.2 states/eV per cell
# **Energy relative to the lowest polymorph listed for this composition**: 0.433 eV/atom
# **Calculated density**: 5357 kg/m³
data_ScCdB
_symmetry_space_group_name_H-M 'P 1'
_symmetry_Int_Tables_number 1
_cell_length_a 3.3990
_cell_length_b 5.2621
_cell_length_c 6.0704
_cell_angle_alpha 89.83
_cell_angle_beta 73.80
_cell_angle_gamma 90.00
loop_
_symmetry_equiv_pos_as_xyz
'x,y,z'
loop_
_atom_site_label
_atom_site_type_symbol
_atom_site_fract_x
_atom_site_fract_y
_atom_site_fract_z
Sc1 Sc 0.0000 0.0000 0.0000
Sc2 Sc 0.1749 0.5013 0.6483
Cd1 Cd 0.2850 0.0018 0.4312
Cd2 Cd 0.4501 0.4998 0.1004
B1 B 0.6297 0.1594 0.7405
B2 B 0.6299 0.8430 0.7401


(2)
# TbCdHg4 (GGA-PBE, relaxed)
# **Crystal system**: monoclinic
# **Formation energy**: -0.1491 eV per atom
# **VASP energy**: -1.27 eV per atom
# **Volume**: 615.9 Å³ per cell
# **Density of states at the Fermi level**: 9.4 states/eV per cell
# **Energy relative to the lowest polymorph listed for this composition**: 0.000 eV/atom
# **Calculated density**: 11579 kg/m³
data_TbCdHg4
_symmetry_space_group_name_H-M 'C 1 2/m 1'
_symmetry_Int_Tables_number 12
_cell_length_a 14.2898
_cell_length_b 8.6194
_cell_length_c 5.1305
_cell_angle_alpha 90.00
_cell_angle_beta 102.92
_cell_angle_gamma 90.00
loop_
_symmetry_equiv_pos_as_xyz
'x,y,z'
'-x,-y,-z'
'-x,y,-z'
'x,-y,z'
'x+1/2,y+1/2,z'
'-x+1/2,-y+1/2,-z'
'-x+1/2,y+1/2,-z'
'x+1/2,-y+1/2,z'
loop_
_atom_site_label
_atom_site_type_symbol
_atom_site_fract_x
_atom_site_fract_y
_atom_site_fract_z
Tb1 Tb 0.1985 0.0000 0.1231
Cd1 Cd 0.0594 0.5000 0.7649
Hg1 Hg 0.0000 0.1856 0.0000
Hg2 Hg 0.1326 0.1940 0.5883
Hg3 Hg 0.1672 0.5000 0.2965


(3)
# Bi2Pd3Au (GGA-PBE, relaxed)
# **Crystal system**: orthorhombic
# **Formation energy**: -0.2161 eV per atom
# **VASP energy**: -4.65 eV per atom
# **Volume**: 973.1 Å³ per cell
# **Density of states at the Fermi level**: 20.9 states/eV per cell
# **Energy relative to the lowest polymorph listed for this composition**: 0.000 eV/atom
# **Calculated density**: 12753 kg/m³
data_Bi2Pd3Au
_symmetry_space_group_name_H-M 'C m c e'
_symmetry_Int_Tables_number 64
_symmetry_space_group_name_Hall '-C 2ac 2'
_cell_length_a 5.4229
_cell_length_b 13.5576
_cell_length_c 13.2361
_cell_angle_alpha 90.00
_cell_angle_beta 90.00
_cell_angle_gamma 90.00
loop_
_atom_site_label
_atom_site_type_symbol
_atom_site_fract_x
_atom_site_fract_y
_atom_site_fract_z
Bi1 Bi 0.0000 0.0785 0.1654
Bi2 Bi 0.0000 0.1716 0.5719
Pd1 Pd 0.0000 0.0429 0.4034
Pd2 Pd 0.0000 0.0969 0.9550
Pd3 Pd 0.2500 0.0910 0.7500
Au1 Au 0.0000 0.2371 0.3249


(4)
# CsTmCdS3 (GGA-PBE, relaxed)
# **Crystal system**: monoclinic
# **VASP energy**: -4.51 eV per atom
# **Volume**: 362.7 Å³ per cell
# **Density of states at the Fermi level**: 0.0 states/eV per cell
# **E_form (uncorrected)**: -1.4091 eV/atom
# **Calculated density**: 4674 kg/m³
data_CsTmCdS3
_symmetry_space_group_name_H-M 'P 1 21/m 1'
_symmetry_Int_Tables_number 11
_cell_length_a 9.1808
_cell_length_b 4.1273
_cell_length_c 10.2728
_cell_angle_alpha 90.00
_cell_angle_beta 111.30
_cell_angle_gamma 90.00
loop_
_symmetry_equiv_pos_as_xyz
'x,y,z'
'-x,-y,-z'
'-x,y+1/2,-z'
'x,-y+1/2,z'
loop_
_atom_site_label
_atom_site_type_symbol
_atom_site_fract_x
_atom_site_fract_y
_atom_site_fract_z
Cs1 Cs 0.2249 0.2500 0.2416
Tm1 Tm 0.3338 0.7500 0.8698
Cd1 Cd 0.0845 0.2500 0.6162
S1 S 0.1315 0.2500 0.8706
S2 S 0.2160 0.7500 0.5571
S3 S 0.4781 0.7500 0.1430


(5)
# KLiGeO3 (GGA-PBE, relaxed)
# **Crystal system**: orthorhombic
# **VASP energy**: -5.57 eV per atom
# **Volume**: 303.2 Å³ per cell
# **Density of states at the Fermi level**: 0.0 states/eV per cell
# **E_form (uncorrected)**: -1.8226 eV/atom
# **Calculated density**: 3652 kg/m³
data_KLiGeO3
_symmetry_space_group_name_H-M 'C m c m'
└──

-- Worked solution --
(1)
# ScCdB (GGA-PBE, relaxed)
# **Crystal system**: triclinic
# **Formation energy**: -0.0567 eV per atom
# **VASP energy**: -4.70 eV per atom
# **Volume**: 104.3 Å³ per cell
# **Density of states at the Fermi level**: 4.2 states/eV per cell
# **Energy relative to the lowest polymorph listed for this composition**: 0.433 eV/atom
# **Calculated density**: 5357 kg/m³
data_ScCdB
_symmetry_space_group_name_H-M 'P 1'
_symmetry_Int_Tables_number 1
_cell_length_a 3.3990
_cell_length_b 5.2621
_cell_length_c 6.0704
_cell_angle_alpha 89.83
_cell_angle_beta 73.80
_cell_angle_gamma 90.00
loop_
_symmetry_equiv_pos_as_xyz
'x,y,z'
loop_
_atom_site_label
_atom_site_type_symbol
_atom_site_fract_x
_atom_site_fract_y
_atom_site_fract_z
Sc1 Sc 0.0000 0.0000 0.0000
Sc2 Sc 0.1749 0.5013 0.6483
Cd1 Cd 0.2850 0.0018 0.4312
Cd2 Cd 0.4501 0.4998 0.1004
B1 B 0.6297 0.1594 0.7405
B2 B 0.6299 0.8430 0.7401


(2)
# TbCdHg4 (GGA-PBE, relaxed)
# **Crystal system**: monoclinic
# **Formation energy**: -0.1491 eV per atom
# **VASP energy**: -1.27 eV per atom
# **Volume**: 615.9 Å³ per cell
# **Density of states at the Fermi level**: 9.4 states/eV per cell
# **Energy relative to the lowest polymorph listed for this composition**: 0.000 eV/atom
# **Calculated density**: 11579 kg/m³
data_TbCdHg4
_symmetry_space_group_name_H-M 'C 1 2/m 1'
_symmetry_Int_Tables_number 12
_cell_length_a 14.2898
_cell_length_b 8.6194
_cell_length_c 5.1305
_cell_angle_alpha 90.00
_cell_angle_beta 102.92
_cell_angle_gamma 90.00
loop_
_symmetry_equiv_pos_as_xyz
'x,y,z'
'-x,-y,-z'
'-x,y,-z'
'x,-y,z'
'x+1/2,y+1/2,z'
'-x+1/2,-y+1/2,-z'
'-x+1/2,y+1/2,-z'
'x+1/2,-y+1/2,z'
loop_
_atom_site_label
_atom_site_type_symbol
_atom_site_fract_x
_atom_site_fract_y
_atom_site_fract_z
Tb1 Tb 0.1985 0.0000 0.1231
Cd1 Cd 0.0594 0.5000 0.7649
Hg1 Hg 0.0000 0.1856 0.0000
Hg2 Hg 0.1326 0.1940 0.5883
Hg3 Hg 0.1672 0.5000 0.2965


(3)
# Bi2Pd3Au (GGA-PBE, relaxed)
# **Crystal system**: orthorhombic
# **Formation energy**: -0.2161 eV per atom
# **VASP energy**: -4.65 eV per atom
# **Volume**: 973.1 Å³ per cell
# **Density of states at the Fermi level**: 20.9 states/eV per cell
# **Energy relative to the lowest polymorph listed for this composition**: 0.000 eV/atom
# **Calculated density**: 12753 kg/m³
data_Bi2Pd3Au
_symmetry_space_group_name_H-M 'C m c e'
_symmetry_Int_Tables_number 64
_symmetry_space_group_name_Hall '-C 2ac 2'
_cell_length_a 5.4229
_cell_length_b 13.5576
_cell_length_c 13.2361
_cell_angle_alpha 90.00
_cell_angle_beta 90.00
_cell_angle_gamma 90.00
loop_
_atom_site_label
_atom_site_type_symbol
_atom_site_fract_x
_atom_site_fract_y
_atom_site_fract_z
Bi1 Bi 0.0000 0.0785 0.1654
Bi2 Bi 0.0000 0.1716 0.5719
Pd1 Pd 0.0000 0.0429 0.4034
Pd2 Pd 0.0000 0.0969 0.9550
Pd3 Pd 0.2500 0.0910 0.7500
Au1 Au 0.0000 0.2371 0.3249


(4)
# CsTmCdS3 (GGA-PBE, relaxed)
# **Crystal system**: monoclinic
# **VASP energy**: -4.51 eV per atom
# **Volume**: 362.7 Å³ per cell
# **Density of states at the Fermi level**: 0.0 states/eV per cell
# **E_form (uncorrected)**: -1.4091 eV/atom
# **Calculated density**: 4674 kg/m³
data_CsTmCdS3
_symmetry_space_group_name_H-M 'P 1 21/m 1'
_symmetry_Int_Tables_number 11
_cell_length_a 9.1808
_cell_length_b 4.1273
_cell_length_c 10.2728
_cell_angle_alpha 90.00
_cell_angle_beta 111.30
_cell_angle_gamma 90.00
loop_
_symmetry_equiv_pos_as_xyz
'x,y,z'
'-x,-y,-z'
'-x,y+1/2,-z'
'x,-y+1/2,z'
loop_
_atom_site_label
_atom_site_type_symbol
_atom_site_fract_x
_atom_site_fract_y
_atom_site_fract_z
Cs1 Cs 0.2249 0.2500 0.2416
Tm1 Tm 0.3338 0.7500 0.8698
Cd1 Cd 0.0845 0.2500 0.6162
S1 S 0.1315 0.2500 0.8706
S2 S 0.2160 0.7500 0.5571
S3 S 0.4781 0.7500 0.1430


(5)
# KLiGeO3 (GGA-PBE, relaxed)
# **Crystal system**: orthorhombic
# **VASP energy**: -5.57 eV per atom
# **Volume**: 303.2 Å³ per cell
# **Density of states at the Fermi level**: 0.0 states/eV per cell
# **E_form (uncorrected)**: -1.8226 eV/atom
# **Calculated density**: 3652 kg/m³
data_KLiGeO3
_symmetry_space_group_name_H-M 'C m c m'